Roon 2. Build 1133 on a headless Mac mini (12.6 Monterey)
Networking Gear & Setup Details
Mac is hardwired
Connected Audio Devices
┌──
A plane-wave DFT calculation with GGA-PBE was carried out for RbErS2 after structural relaxation.

Results
Space-group type: R-3m

Geometry as POSCAR:
```
RbErS2
1.0
2.0231 1.1681 7.6760
-2.0231 1.1681 7.6760
0.0000 -2.3361 7.6760
Rb Er S
1 1 2
Direct
0.0000 0.0000 0.0000
0.5000 0.5000 0.5000
0.2301 0.2301 0.2301
0.7699 0.7699 0.7699
```



A plane-wave DFT calculation with GGA-PBE was carried out for SrSiO3 after structural relaxation.

Results
Space-group type: P-1

Geometry as POSCAR:
```
SrSiO3
1.0
7.0303 0.0000 0.0000
1.7817 6.8122 0.0000
1.1127 3.3423 9.1932
Sr Si O
6 6 18
Direct
0.0831 0.4056 0.3399
0.2383 0.2524 0.9966
0.4148 0.7643 0.3455
0.5852 0.2357 0.6545
0.7617 0.7476 0.0034
0.9169 0.5944 0.6601
0.0398 0.0209 0.7059
0.2690 0.7689 0.9782
0.3792 0.6687 0.7061
0.6208 0.3313 0.2939
0.7310 0.2311 0.0218
0.9602 0.9791 0.2941
0.0369 0.7366 0.3926
0.1351 0.6017 0.0565
0.1345 0.9945 0.8628
0.1406 0.0976 0.2601
0.2273 0.8997 0.6222
0.2688 0.4798 0.7369
0.3845 0.8360 0.0800
0.4318 0.3657 0.4010
0.4371 0.6879 0.8601
0.5629 0.3121 0.1399
0.5682 0.6343 0.5990
0.6155 0.1640 0.9200
0.7312 0.5202 0.2631
0.7727 0.1003 0.3778
0.8594 0.9024 0.7399
0.8655 0.0055 0.1372
0.8649 0.3983 0.9435
0.9631 0.2634 0.6074
```



A plane-wave DFT calculation with GGA-PBE was carried out for Sr10TiRu4O20 after structural relaxation.

Results
Space-group type: I4/mmm

Geometry as POSCAR:
```
Sr10TiRu4O20
1.0
-1.9578 1.9578 32.1312
1.9578 -1.9578 32.1312
1.9578 1.9578 -32.1312
Sr Ti Ru O
10 1 4 20
Direct
0.0290 0.0290 0.0000
0.1705 0.1705 0.0000
0.2295 0.2295 0.0000
0.3706 0.3706 0.0000
0.4296 0.4296 0.0000
0.5704 0.5704 0.0000
0.6294 0.6294 0.0000
0.7705 0.7705 0.0000
0.8295 0.8295 0.0000
0.9710 0.9710 0.0000
0.5000 0.5000 0.0000
0.1000 0.1000 0.0000
0.3000 0.3000 0.0000
0.7000 0.7000 0.0000
0.9000 0.9000 0.0000
0.0000 0.5000 0.5000
0.0673 0.0673 0.0000
0.1000 0.6000 0.5000
0.1326 0.1326 0.0000
0.2000 0.7000 0.5000
0.2674 0.2674 0.0000
0.3000 0.8000 0.5000
0.3326 0.3326 0.0000
0.4000 0.9000 0.5000
0.4685 0.4685 0.0000
0.5000 0.0000 0.5000
0.5315 0.5315 0.0000
0.6000 0.1000 0.5000
0.6674 0.6674 0.0000
0.7000 0.2000 0.5000
0.7326 0.7326 0.0000
0.8000 0.3000 0.5000
0.8674 0.8674 0.0000
0.9000 0.4000 0.5000
0.9327 0.9327 0.0000
```



| no. | total energy after the MP2020 corrections (eV/atom) | DFT total energy (eV per cell) | energy relative to the elements (eV per atom) |
| --- | --- | --- | --- |
| 1 | -5.55 | -21.20 | -2.097 |
| 2 | -7.81 | -222.04 | -3.422 |
| 3 | -7.26 | -240.39 | -2.665 |

~~~~~

This record from the Materials Project database describes crystalline Ti3Cu2TeP6O24 at its relaxed geometry. The functional is GGA-PBE.

Cell lengths 8.7657, 8.7657, 8.7657 Å; angles 59.83, 59.83, 59.83 degrees
Element x y z (fractional)
O 0.9512 0.7236 0.0970
O 0.1975 0.0007 0.3744
P 0.9616 0.5319 0.2589
O 0.8003 0.0224 0.6055
O 0.2638 0.9165 0.0604
Ti 0.3573 0.3573 0.3573
O 0.1206 0.4858 0.3191
Cu 0.5002 0.5002 0.5002
O 0.5511 0.4231 0.7720
P 0.7490 0.0438 0.4501
└──
Mix of Roon endpoints on RPI and Airplay compatible (HomePod, Belkin connect).
Number of Tracks in Library
Description of Issue
Roon runs on a headless Mac mini that auto goes to sleep at night and auto wakes in the morning. Have had the same setup for years with no issue. As of the latest build when it wakes up it can’t find any other airplay endpoints and I need to connect to the machine and stop/start Roon and they come back. As this is a headless machine its a small PITA.
When I first connect it only shows Roon endpoints, non of the airplay
We have seen this happening since the advent of Roon 2.0. Not just with airplay devices but Roon Ready or Roon Tested devices as well. Roon was keeping Mac OS from completely sleeping before 2.0. Some call it a bug, and some call it a feature. If you set your Mac to these settings:
This should fix your issue once this is set and a reboot is done. If you wouldn’t mind, please confirm after trying this.
@Wes Regarding your screen shot, do you mean turning on “wake for network” or “prevent your Mac from sleeping” or both?
Also are you suggesting the fix for end points disappearing is to never let the Mac sleep? That seems like a waste of energy and defeats the purpose of using scheduled sleep/wake.
On a side note, this menu with these options is no longer available in Ventura. To set automatic wake/sleep you need to use pmset from the command line with something like sudo pmset repeat wakeorpoweron MTWRFSU 06:00:00 sleep MTWRFSU 21:00:00
I have both set but the latter is the more relevant.
A Roon core is designed to be on-demand access. Technically, having a machine sleep defeats the purpose of using any device as a Roon core. As a side note, prior versions of Roon did not respect the OS’s sleep or energy-saver settings. I don’t really have an explanation as to why devices would disappear but it’s something happening quite commonly on MacOS returning from a slumber. I’ll be championing a change in this but for now, this has been the fix.
You had mentioned that you were running 12.6 in your initial post and that’s why I provided a screenshot for Monterey.
Will you please see if my proposed changes address the problem for you? If not, I’ll be happy to look at diagnostic logging and do my best to get you up and running.
Technically, having a machine sleep defeats the purpose of using any device as a Roon core
I’d argue I can make assumptions about when I am unlikely to access this machine. eg between 11pm-6am in the majority of cases. I’m not serving content globally, just to my household which exists in a single timezone. For those late night parties I can go and turn the Mac back on Having it always on in the middle of the night is a waste of energy and that being a requirement for it to function correctly is poor design. No other application I use requires a restart.
You had mentioned that you were running 12.6
Indeed though, between opening the ticket and getting a response Ventura came out. Either way, the setting is available but hasn’t fixed the issue as for better or worse OSX still forces the machine to sleep.
An important detail is that the Roon endpoints (Pis) work fine, its only airplay devices which don’t function until Roon is restarted. So it’s likely related to functions that discover / track airplay endpoints. Arc works fine between sleeps, so seems like a regression only impacting Airplay as this was fine pre V2.
I have some vague memory that I had this issue ~2 years with the last major update but it was later fixed in a subsequent update.
Another update and still an issue. Really hampers ability to use Roon on a headless system. Any hope for a future fix?
Look into why it’s dropping its list of airplay endpoints? Cache them or periodically load instead of only on app start?
I personally use Roon endpoints that aren’t impacted but the rest of the family primarily uses the airplay ones so this is losing a lot of credibility for Roon as a household solution.